Next, write out the block below word for word.

____________
No. 1
The following is a computed XRD peak list of Ti3H2O7. It was derived from a GGA-PBE-relaxed structure, using Cu Kα.
Peak positions follow from Bragg's law for the DFT cell and can differ from measured ones.

Atomic structure:
Lattice parameters (Å, degrees): 8.3166 8.3166 9.2968 101.16 101.16 26.29
Sites, in units of the cell vectors:
Ti (0.0000, 0.0000, 0.0000)
Ti (0.0414, 0.0414, 0.6929)
Ti (0.1013, 0.1013, 0.3899)
Ti (0.6465, 0.6465, 0.9616)
Ti (0.6964, 0.6964, 0.6626)
Ti (0.7529, 0.7529, 0.3442)
H (0.8269, 0.8269, 0.9653)
H (0.8525, 0.8525, 0.6412)
H (0.8736, 0.8736, 0.1438)
H (0.9179, 0.9179, 0.3886)
O (0.0080, 0.0080, 0.4937)
O (0.0410, 0.0410, 0.2082)
O (0.1136, 0.1136, 0.9270)
O (0.1671, 0.1671, 0.6362)
O (0.2218, 0.2218, 0.3548)
O (0.5267, 0.5267, 0.9986)
O (0.5787, 0.5787, 0.7224)
O (0.6352, 0.6352, 0.4322)
O (0.7056, 0.7056, 0.1423)
O (0.7394, 0.7394, 0.8595)
O (0.7952, 0.7952, 0.5786)
O (0.8614, 0.8614, 0.3177)
O (0.8828, 0.8828, 0.0391)
O (0.9527, 0.9527, 0.7852)

Principal peaks in the range 2θ from 10° to 80°, most intense first:
- 11.1 deg, d = 7.937 Å, intensity 100.0
- 24.2 deg, d = 3.679 Å, intensity 43.3
- 16.2 deg, d = 5.470 Å, intensity 24.2
- 29.4 deg, d = 3.037 Å, intensity 19.6
- 35.7 deg, d = 2.515 Å, intensity 18.8
- 48.1 deg, d = 1.891 Å, intensity 16.7
- 29.0 deg, d = 3.077 Å, intensity 16.6
- 43.5 deg, d = 2.082 Å, intensity 14.9

=====

No. 2
The following is a computed XRD peak list of TlPd2. It was derived from a GGA-PBE-relaxed structure, using Cu Kα.
Peak positions follow from Bragg's law for the DFT cell and can differ from measured ones.

Atomic structure:
Lattice parameters (Å, degrees): 5.8536 4.2671 8.6001 90.00 90.00 90.00
Sites, in units of the cell vectors:
Tl (0.1785, 0.2500, 0.1021)
Tl (0.3215, 0.7500, 0.6021)
Tl (0.6785, 0.2500, 0.3979)
Tl (0.8215, 0.7500, 0.8979)
Pd (0.0695, 0.2500, 0.7658)
Pd (0.1570, 0.2500, 0.4280)
Pd (0.3430, 0.7500, 0.9280)
Pd (0.4305, 0.7500, 0.2658)
Pd (0.5695, 0.2500, 0.7342)
Pd (0.6570, 0.2500, 0.0720)
Pd (0.8430, 0.7500, 0.5720)
Pd (0.9305, 0.7500, 0.2342)

Principal peaks in the range 2θ from 10° to 80°, most intense first:
- 37.8 deg, d = 2.380 Å, intensity 100.0
- 37.2 deg, d = 2.414 Å, intensity 87.2
- 44.2 deg, d = 2.048 Å, intensity 42.7
- 42.4 deg, d = 2.134 Å, intensity 40.0
- 38.7 deg, d = 2.324 Å, intensity 31.2
- 62.9 deg, d = 1.477 Å, intensity 29.8
- 25.7 deg, d = 3.465 Å, intensity 14.2
- 74.5 deg, d = 1.274 Å, intensity 13.7

=====

No. 3
The following is a computed XRD peak list of Tl4Sn5S12. It was derived from a GGA-PBE-relaxed structure, using Cu Kα.
Peak positions follow from Bragg's law for the DFT cell and can differ from measured ones.

Atomic structure:
Lattice parameters (Å, degrees): 7.5040 9.8748 17.3679 105.00 90.12 111.92
Sites, in units of the cell vectors:
Tl (0.0826, 0.3471, 0.3873)
Tl (0.1246, 0.0174, 0.8568)
Tl (0.1874, 0.7384, 0.2980)
Tl (0.3986, 0.0375, 0.1453)
Tl (0.6014, 0.9625, 0.8547)
Tl (0.8126, 0.2616, 0.7020)
Tl (0.8754, 0.9826, 0.1432)
Tl (0.9174, 0.6529, 0.6127)
Sn (0.1831, 0.0744, 0.5825)
Sn (0.1876, 0.6274, 0.9475)
Sn (0.3153, 0.3807, 0.0579)
Sn (0.3845, 0.5318, 0.7300)
Sn (0.4822, 0.1764, 0.4028)
Sn (0.5178, 0.8236, 0.5972)
Sn (0.6155, 0.4682, 0.2700)
Sn (0.6847, 0.6193, 0.9421)
Sn (0.8124, 0.3726, 0.0525)
Sn (0.8169, 0.9256, 0.4175)
S (0.0284, 0.8239, 0.4781)
S (0.0300, 0.8212, 0.9831)
S (0.1626, 0.5857, 0.0920)
S (0.1696, 0.0567, 0.3272)
S (0.1934, 0.6638, 0.8033)
S (0.2305, 0.2626, 0.7215)
S (0.2895, 0.3477, 0.2019)
S (0.3104, 0.9395, 0.6707)
S (0.3296, 0.4180, 0.9124)
S (0.3820, 0.5515, 0.5927)
S (0.4619, 0.1796, 0.0080)
S (0.4879, 0.7924, 0.4544)
S (0.5121, 0.2076, 0.5456)
S (0.5381, 0.8204, 0.9920)
S (0.6180, 0.4485, 0.4073)
S (0.6704, 0.5820, 0.0876)
S (0.6896, 0.0605, 0.3293)
S (0.7105, 0.6523, 0.7981)
S (0.7695, 0.7374, 0.2785)
S (0.8066, 0.3362, 0.1967)
S (0.8304, 0.9433, 0.6728)
S (0.8374, 0.4143, 0.9080)
S (0.9700, 0.1788, 0.0169)
S (0.9716, 0.1761, 0.5219)
____________

No. 1
The following is a computed XRD peak list of Ti3H2O7. It was derived from a GGA-PBE-relaxed structure, using Cu Kα.
Peak positions follow from Bragg's law for the DFT cell and can differ from measured ones.

Atomic structure:
Lattice parameters (Å, degrees): 8.3166 8.3166 9.2968 101.16 101.16 26.29
Sites, in units of the cell vectors:
Ti (0.0000, 0.0000, 0.0000)
Ti (0.0414, 0.0414, 0.6929)
Ti (0.1013, 0.1013, 0.3899)
Ti (0.6465, 0.6465, 0.9616)
Ti (0.6964, 0.6964, 0.6626)
Ti (0.7529, 0.7529, 0.3442)
H (0.8269, 0.8269, 0.9653)
H (0.8525, 0.8525, 0.6412)
H (0.8736, 0.8736, 0.1438)
H (0.9179, 0.9179, 0.3886)
O (0.0080, 0.0080, 0.4937)
O (0.0410, 0.0410, 0.2082)
O (0.1136, 0.1136, 0.9270)
O (0.1671, 0.1671, 0.6362)
O (0.2218, 0.2218, 0.3548)
O (0.5267, 0.5267, 0.9986)
O (0.5787, 0.5787, 0.7224)
O (0.6352, 0.6352, 0.4322)
O (0.7056, 0.7056, 0.1423)
O (0.7394, 0.7394, 0.8595)
O (0.7952, 0.7952, 0.5786)
O (0.8614, 0.8614, 0.3177)
O (0.8828, 0.8828, 0.0391)
O (0.9527, 0.9527, 0.7852)

Principal peaks in the range 2θ from 10° to 80°, most intense first:
- 11.1 deg, d = 7.937 Å, intensity 100.0
- 24.2 deg, d = 3.679 Å, intensity 43.3
- 16.2 deg, d = 5.470 Å, intensity 24.2
- 29.4 deg, d = 3.037 Å, intensity 19.6
- 35.7 deg, d = 2.515 Å, intensity 18.8
- 48.1 deg, d = 1.891 Å, intensity 16.7
- 29.0 deg, d = 3.077 Å, intensity 16.6
- 43.5 deg, d = 2.082 Å, intensity 14.9

=====

No. 2
The following is a computed XRD peak list of TlPd2. It was derived from a GGA-PBE-relaxed structure, using Cu Kα.
Peak positions follow from Bragg's law for the DFT cell and can differ from measured ones.

Atomic structure:
Lattice parameters (Å, degrees): 5.8536 4.2671 8.6001 90.00 90.00 90.00
Sites, in units of the cell vectors:
Tl (0.1785, 0.2500, 0.1021)
Tl (0.3215, 0.7500, 0.6021)
Tl (0.6785, 0.2500, 0.3979)
Tl (0.8215, 0.7500, 0.8979)
Pd (0.0695, 0.2500, 0.7658)
Pd (0.1570, 0.2500, 0.4280)
Pd (0.3430, 0.7500, 0.9280)
Pd (0.4305, 0.7500, 0.2658)
Pd (0.5695, 0.2500, 0.7342)
Pd (0.6570, 0.2500, 0.0720)
Pd (0.8430, 0.7500, 0.5720)
Pd (0.9305, 0.7500, 0.2342)

Principal peaks in the range 2θ from 10° to 80°, most intense first:
- 37.8 deg, d = 2.380 Å, intensity 100.0
- 37.2 deg, d = 2.414 Å, intensity 87.2
- 44.2 deg, d = 2.048 Å, intensity 42.7
- 42.4 deg, d = 2.134 Å, intensity 40.0
- 38.7 deg, d = 2.324 Å, intensity 31.2
- 62.9 deg, d = 1.477 Å, intensity 29.8
- 25.7 deg, d = 3.465 Å, intensity 14.2
- 74.5 deg, d = 1.274 Å, intensity 13.7

=====

No. 3
The following is a computed XRD peak list of Tl4Sn5S12. It was derived from a GGA-PBE-relaxed structure, using Cu Kα.
Peak positions follow from Bragg's law for the DFT cell and can differ from measured ones.

Atomic structure:
Lattice parameters (Å, degrees): 7.5040 9.8748 17.3679 105.00 90.12 111.92
Sites, in units of the cell vectors:
Tl (0.0826, 0.3471, 0.3873)
Tl (0.1246, 0.0174, 0.8568)
Tl (0.1874, 0.7384, 0.2980)
Tl (0.3986, 0.0375, 0.1453)
Tl (0.6014, 0.9625, 0.8547)
Tl (0.8126, 0.2616, 0.7020)
Tl (0.8754, 0.9826, 0.1432)
Tl (0.9174, 0.6529, 0.6127)
Sn (0.1831, 0.0744, 0.5825)
Sn (0.1876, 0.6274, 0.9475)
Sn (0.3153, 0.3807, 0.0579)
Sn (0.3845, 0.5318, 0.7300)
Sn (0.4822, 0.1764, 0.4028)
Sn (0.5178, 0.8236, 0.5972)
Sn (0.6155, 0.4682, 0.2700)
Sn (0.6847, 0.6193, 0.9421)
Sn (0.8124, 0.3726, 0.0525)
Sn (0.8169, 0.9256, 0.4175)
S (0.0284, 0.8239, 0.4781)
S (0.0300, 0.8212, 0.9831)
S (0.1626, 0.5857, 0.0920)
S (0.1696, 0.0567, 0.3272)
S (0.1934, 0.6638, 0.8033)
S (0.2305, 0.2626, 0.7215)
S (0.2895, 0.3477, 0.2019)
S (0.3104, 0.9395, 0.6707)
S (0.3296, 0.4180, 0.9124)
S (0.3820, 0.5515, 0.5927)
S (0.4619, 0.1796, 0.0080)
S (0.4879, 0.7924, 0.4544)
S (0.5121, 0.2076, 0.5456)
S (0.5381, 0.8204, 0.9920)
S (0.6180, 0.4485, 0.4073)
S (0.6704, 0.5820, 0.0876)
S (0.6896, 0.0605, 0.3293)
S (0.7105, 0.6523, 0.7981)
S (0.7695, 0.7374, 0.2785)
S (0.8066, 0.3362, 0.1967)
S (0.8304, 0.9433, 0.6728)
S (0.8374, 0.4143, 0.9080)
S (0.9700, 0.1788, 0.0169)
S (0.9716, 0.1761, 0.5219)